Tuesday, December 25, 2012

Nanny Confessions: A Gift and Holiday Tip are Important!

Which is Worse: Not Getting a Heartfelt Gift or No Bonus?

On Facebook we have been discussing holiday gift-giving and end of the year bonuses.

In America, parents thank their nannies for a job well done by giving their in-home childcare provider one-week salary for an end of the year bonus and heartfelt gifts from the kids. Although, this year I have seen more and more experts recommending parents give nannies at least one-week to one-month salary for a holiday bonus.

Before Friday, the general consensus from our readers was that the holiday season is about giving, not receiving. Nannies were sharing advice with other caregivers to not expect gifts and financial bonuses so that they are not disappointed if their employers overlook the social norm.

Although it may sound cold, that attitude changed dramatically since Friday. My mailbox is now literally full of emails from nannies hurt that their employers either forgot to pay them a bonus or give them a gift.

I have been quoted in the Wall Street Journal articles, Cash is King and Holiday Bonus: What to Give Nanny that when parents overlook a holiday bonus, or give less than the year before, nannies do notice and they worry their job performance has fallen short. Yet, when parents cannot afford a generous bonus, all the parents need to do is be honest with their nanny. Only a Scrooge would be mad at parents that cannot afford to give generously this holiday season.

It may not be the socially acceptable thing to say, but the reality is, nannies do resent it if their employers don't give them a small gift and one-week holiday bonus. My full email mailbox is proof of that reality.

For parents who overlooked tipping their nanny or giving their caregiver a gift, there's still time to correct the error of their ways. If parents value their nanny and want to continue a good working relationship with the nanny, I recommend parents have their kids draw their nanny a picture and slip approximately one-week salary into a thank you card before the new year.

If parents prefer to ignore the typical holiday gift-giving and tipping traditions, then they are sending the nanny a clear message that they don't value the employee's job performance or relationship.

Which do you think is worse: not getting a gift from the kids or no holiday bonus?


Tobago Nanny said...

BOTH! I think most people want cash. But we see the parents buying tons and tons and tons of gifts! They need to spend 3 seconds buying us one too. I give them gifts!

Anonymous said...

=====
No. 1
VASP calculation (PBE) on a relaxed HoErTl2 crystal.

abc: 5.343 5.343 5.343
angles: 60.00 60.00 60.00
Fractional coordinates of all 4 atoms:
Ho1 0.000 0.000 0.000
Er1 0.500 0.500 0.500
Tl1 0.250 0.250 0.250
Tl2 0.750 0.750 0.750

Calculated formation energy, eV per formula unit: -1.271
DFT total energy, eV/atom: -3.787

***

No. 2
VASP calculation (PBE) on a relaxed CeSe2 crystal.

abc: 8.134 8.134 4.594
angles: 90.00 90.00 151.71
Fractional coordinates of all 6 atoms:
Ce1 0.116 0.884 0.750
Ce2 0.884 0.116 0.250
Se1 0.245 0.755 0.250
Se2 0.431 0.569 0.750
Se3 0.569 0.431 0.250
Se4 0.755 0.245 0.750

Calculated formation energy, eV per formula unit: -5.159
DFT total energy, eV/atom: -5.713

***

No. 3
VASP calculation (PBE) on a relaxed Na5Al3SnP6O24 crystal.

abc: 8.616 8.619 21.819
angles: 89.95 89.94 60.05
Fractional coordinates of all 117 atoms:
Na1 0.000 0.000 0.000
Na2 0.000 0.358 0.756
Na3 0.005 0.727 0.504
Na4 0.008 0.358 0.256
Na5 0.332 0.334 0.671
Na6 0.334 0.699 0.917
Na7 0.335 0.706 0.419
Na8 0.366 0.364 0.000
Na9 0.635 0.731 0.000
Na10 0.637 0.366 0.504
Na11 0.660 0.032 0.087
Na12 0.668 0.032 0.589
Na13 0.698 0.699 0.671
Na14 0.700 0.334 0.170
Na15 0.969 0.698 0.170
Al1 0.001 0.359 0.605
Al2 0.001 0.364 0.897
Al3 0.002 0.362 0.398
Al4 0.006 0.360 0.103
Al5 0.333 0.705 0.568
Al6 0.334 0.699 0.068
Al7 0.661 0.032 0.236
Al8 0.667 0.032 0.934
Al9 0.672 0.032 0.737
Sn1 0.332 0.700 0.774
Sn2 0.334 0.700 0.273
Sn3 0.662 0.031 0.437
P1 0.001 0.652 0.003
P2 0.011 0.077 0.503
P3 0.039 0.702 0.667
P4 0.042 0.994 0.167
P5 0.282 0.367 0.504
P6 0.287 0.078 0.002
P7 0.330 0.993 0.667
P8 0.334 0.401 0.167
P9 0.371 0.040 0.335
P10 0.378 0.314 0.837
P11 0.626 0.702 0.167
P12 0.630 0.402 0.667
P13 0.675 0.320 0.335
P14 0.675 0.742 0.837
P15 0.712 0.647 0.504
P16 0.713 0.365 0.003
P17 0.949 0.039 0.838
P18 0.956 0.735 0.335
O1 0.017 0.183 0.159
O2 0.019 0.533 0.660
O3 0.033 0.163 0.445
O4 0.039 0.529 0.948
O5 0.128 0.868 0.111
O6 0.129 0.731 0.610
O7 0.138 0.867 0.834
O8 0.143 0.719 0.331
O9 0.156 0.916 0.225
O10 0.162 0.652 0.724
O11 0.163 0.388 0.159
O12 0.165 0.161 0.947
O13 0.166 0.401 0.447
O14 0.167 0.182 0.659
O15 0.170 0.674 0.011
O16 0.170 0.885 0.511
O17 0.187 0.207 0.343
O18 0.191 0.335 0.844
O19 0.201 0.337 0.562
O20 0.205 0.198 0.059
O21 0.288 0.525 0.224
O22 0.292 0.918 0.726
O23 0.308 0.534 0.510
O24 0.310 0.887 0.011
O25 0.354 0.869 0.331
O26 0.361 0.503 0.833
O27 0.371 0.490 0.111
O28 0.371 0.864 0.613
O29 0.464 0.064 0.279
O30 0.464 0.204 0.778
O31 0.477 0.202 0.500
O32 0.479 0.054 0.996
O33 0.485 0.994 0.394
O34 0.494 0.232 0.895
O35 0.501 0.010 0.676
O36 0.503 0.724 0.834
O37 0.504 0.507 0.331
O38 0.505 0.490 0.611
O39 0.506 0.219 0.176
O40 0.507 0.731 0.110
O41 0.522 0.534 0.011
O42 0.524 0.668 0.511
O43 0.553 0.526 0.724
O44 0.553 0.652 0.224
O45 0.633 0.250 0.395
O46 0.641 0.220 0.676
O47 0.641 0.858 0.895
O48 0.648 0.867 0.176
O49 0.689 0.198 0.996
O50 0.697 0.836 0.500
O51 0.698 0.828 0.778
O52 0.699 0.204 0.278
=====
**The page goes on**

Experts now recommend one week to one *months* pay as a typical bonus???!!! With inflation should we then expect 2 months pay within a few years?! While we tend to work for wealthy families and want to be appreciated, I feel the "typical" bonus is getting out of hand...to the point where some employers won't be able to afford it and risk being labeled a bad employer.

Nannies want a raise/bonus on the anniversary of being hired, something special on Nanny Recognition Week, a gift for our birthday, gift AND bonus at Christmas. I think its time we start appreciating what our employers choose to give us and realize that there are limits they need to live within.

Anonymous said...

This is the reality for so many devoted nannies. As a nanny you give and give all year and go above and beyond. After a while the families come to rely on the nanny for everything and over look her. I agree with Tobago Nanny- well said- but how to get that message across to our employers. Every year I see this, and in a month or two many are so hurt, that they will be giving notice. Really all it takes is a few minutes of the employers time to actually look the nanny in the eyes and tell them how much they appreciate them in a heart-felt way. Happy Holidays everyone- and if you don't get a gift, be happy for the positive things in your life and don't dwell on the negative.

Fiona Littleton said...

Wow anonymous, just click on the links in the article and they are suggesting 1 week to 1 month pay as a bonus.

Anonymous, do you tip your garbage collector, hair stylist, door man, superintendent, housekeeper? Well why not the person raising your kids? I do tip and parents that are happy with their nanny's job performance (and that can afford it) may as well tip their nanny.

Anonymous said...

I do tip. I didn't say I thought our employers should give nothing. I'm saying that expecting a MONTH worth of wages as a bonus is expecting a bit much! Do you tip your hairstylist the same amount that you pay for 4-6 hair services?

I'm also pointing out that there are a LOT of families out there who simply cannont afford such a healthy bonus and a lot of nannies who are demanding more.

Anonymous said...

Anonymous above...comparing a nanny to a hair stylist does not make sense. A nanny is there every week, and completes so many more roles than a hair stylist. Many nannies are FULL-time and then some employees- so honestly unless you've ever worked as a nanny full-time for years you will never fully understand. (not being snarky, just get peeved when other's who have never walked in our shoes try to make sense of certain situations that they don't have first hand exp. with.)

Anonymous said...

No one wants to work for a cheap boss no matter the job!